there's a vision
a project-in-the-making to bring a semblance of dignity to the undignified
and i'm impressed with what little i know so far
forwhateverthat'sworth ..
it currently consists of a church and a clothing/meal ministry in the depths of the downtown
where people live bare-ly
i don't know a whole lot about the LOT Project
but i've talked with the visioanary
and his heart is in the midst of raising people
further to what's already there is a desire to see people have access to tools and equipment and technology they can't afford to allow them to produce something to sell in a visioned downtown market in an antiquated building
this is good stuff
yesterday i opportuned at the clothing/food event - my second time
i witnessed 60+ people browse for something to wear and eat a meal
seconds came after everyone had eaten, and some took
the invite to get a togo box for later
when maybe they had nothing in the cupboard
or the backpack
as i pondered the situation here on that ground
i remembered a chat i had with the in-charge dude at the clothing/feed-me place for the needy
and was reminded of the gracious move of God in the lives of people in the direction of the gracious kingdom of God on Earth
and was blessed in that remembering ..
.. reminded me of my not-so-long-ago self in a place far far away ..
the youngster barely strikes 22 on the world clock ..
imagine ..
in his tenure studying theology-in-whatever-specific-form, he decided to get off his theological arse and move tangibly in the direction of kingdom
and ended-up in this place
.. family and friends said he was fool-ish and delusional
making a mistake
but God was winking in his direction
so the crazy kid diss'ed the 'advisement' and headed out towards God's wink ..
when i think of who i was at 22, i slip into my private sinkhole, ashamed at the naivete and o-so-foolish worldish dreams i was chasing
career, money, stability and whateverthehellelse this world offers
to persons of privilege like moi
i had a tug in my gutsoul that wanted Godstuff for my life-endeavour
but the pressure from outside was always in the direction of success
and i didn't have the guts to turn my back on the society
to walk in a transverse direction that would step all over privileged me
and allow for Jesus to liveout life through me
i wanted to make people proud
_Next to the article, the page also holds data records_
┌──
MnCo2Si | PBE | optimized geometry

```
MnCo2Si
1.0
2.848 0.000 0.000
0.000 2.848 0.000
0.000 0.000 5.581
Mn Co Si
1 2 1
Cartesian
0.000 0.000 0.000
1.424 1.424 1.483
1.424 1.424 4.098
0.000 0.000 2.791
```

Summary:
Its energy of formation is -31 kJ per mole of atoms. For the final energy, the calculation gives -0.554 Ry per atom.

Sr2ScSbO6 | PBE | optimized geometry

```
Sr2ScSbO6
1.0
5.772 0.000 0.000
0.000 5.752 0.000
-5.762 0.000 8.129
Sr Sc Sb O
4 2 2 12
Cartesian
-0.013 0.061 2.024
-2.894 2.815 6.088
2.904 2.937 2.041
0.023 5.690 6.105
2.886 0.000 0.000
0.005 2.876 4.064
-2.881 0.000 4.064
0.000 2.876 0.000
-4.457 1.365 7.911
-1.576 1.510 3.847
-4.259 4.183 7.897
-1.378 4.445 3.833
-2.573 0.029 6.047
0.308 2.847 1.983
-0.298 2.905 6.146
2.583 5.723 2.082
1.388 1.307 4.295
4.269 1.569 0.231
1.586 4.241 4.281
4.467 4.386 0.217
```

Summary:
Its energy of formation is -300 kJ per mole of atoms. For the final energy, the calculation gives -0.519 Ry per atom.

LiBiP2O7 | PBE | optimized geometry

```
LiBiP2O7
1.0
7.461 0.000 0.000
0.000 10.888 0.000
-3.767 0.000 7.808
Li Bi P O
4 4 8 28
Cartesian
0.824 1.730 0.711
-1.060 3.714 4.615
4.754 7.174 3.193
2.870 9.158 7.096
0.737 6.568 1.802
-1.146 9.764 5.706
4.841 1.124 2.101
2.957 4.320 6.005
-1.955 6.452 6.076
-0.071 9.880 2.173
0.845 7.167 5.585
2.728 9.165 1.682
0.966 1.723 6.126
2.849 3.721 2.222
3.765 1.008 5.635
5.649 4.436 1.731
-2.265 7.596 5.086
-0.381 8.736 1.182
-0.278 0.388 1.560
-2.161 5.056 5.464
-2.778 6.588 7.352
-0.894 9.744 3.448
-0.273 0.985 5.623
1.611 4.459 1.719
0.501 6.914 4.134
2.384 9.418 0.230
-0.396 6.589 6.496
1.488 9.743 2.592
2.739 2.218 1.830
0.855 3.226 5.734
2.839 7.662 2.074
0.955 8.670 5.978
2.206 1.145 5.216
4.090 4.299 1.312
1.310 1.470 7.577
3.193 3.974 3.673
2.083 6.429 6.089
3.967 9.903 2.185
4.588 1.144 4.359
6.472 4.300 0.456
5.855 5.831 2.344
3.972 10.500 6.248
4.075 2.152 6.625
5.959 3.292 2.721
```

Summary:
Its energy of formation is -240 kJ per mole of atoms. For the final energy, the calculation gives -0.493 Ry per atom.

SiO2 | PBE | optimized geometry

```
SiO2
1.0
4.010 2.315 2.639
-4.010 2.315 2.639
0.000 -4.630 2.639
Si O
3 6
Cartesian
-3.146 0.818 2.639
0.864 -3.133 2.639
2.281 2.315 2.639
-0.767 -3.301 2.639
-2.669 0.000 3.958
-2.476 2.315 2.639
1.334 -2.311 3.958
3.243 0.987 2.639
1.334 2.311 3.958
```

Summary:
The piezoelectric modulus e_max comes out at 0.018 C/m2. Its energy of formation is -312 kJ per mole of atoms. For the final energy, the calculation gives -0.580 Ry per atom.

- Look up the energy of formation of the third one.
  -240 kJ per mole of atoms

- The lowest final energy belongs to which entry?
  SiO2

- The highest energy of formation belongs to which entry?
  MnCo2Si

----------

Material: Mg149Se
Method: DFT, PBE
State: optimized geometry

POSCAR file:
```
Mg149Se
1.0
15.9099 0.0000 0.0000
-7.9550 13.7784 0.0000
0.0000 0.0000 15.5852
Mg Se
149 1
direct
0.0000 0.0000 0.0000
0.0000 0.0000 0.3339
0.0000 0.0000 0.6661
└──
_End of the data records_
i forgot the part where Jesus says "unless you die to who you think you are,
who you want to impress, who you think you need to be
you cannot be my disciple"
Spunk (my name for 22) ia a firey excitable guy that just wants to give his life for Jesus' sake
and right now that consists in doing this
.. i hope he never ever changes the passion of that want
for i've seen far too many people begin in this vein
and then, when 'success' and accolade and growth in their ministry occurs
they change - their success ends-up dispassioning their Jesus-sakedness
and they fall prey to standard evangelical fare
lose their footing in their calling and exchange it for a few lights, a sound system
and ye good ole offering plate
.. the only people that lose-out then is the very people they set-out to serve
and life reverts to 'normal'
and Jesus weeps ..

believe it
i pray for Spunk
that Jesus maintains the hold on
his heart, tight-gripped
that the passion in his gut pains him for ever
like the persistent hunger those 'least' people experience daily
that his eyes get bigger and his periphery widens in the faces of those he serves
those the least of these
and he sees Jesus' face in their face
and in the mirror
.. and that the nagging comments and advice that will no-doubt continue to float his way
and no-doubt pull at his humanity through doubt and questioning himself and ..
will never deter him from finding his face dirt-deep at the foot of the cross
cause only Jesus knows
only Jesus gets to make that call

may he live a firey passion for a long long time
and others be blessed
and Jesus be blessed
i wish i had my life to live again
maybe from 22
'cause this dude inspires me
we need a whole bunch of Spunks
this world would be a hellofalot better place
.. how about you
blessings to you
and peace
and love
Thanks great read